Unique solutions
Even more possibilities with Camera Rigs
With Camera Rigs and Software Modules we use the particular strengh of inkjet technology, to serve demanding production requirements. These combinations of hardware and software solutions can be used with existing print systems or they can be connected with our Print Rigs.
Camera Rigs are designed for the inspection of the substrate and the analysis and improvement of the print result.
Different cameras can inspect and evaluate the print result, the print system and the material handling.
Precise detection
The printing area can be exactly detected and the print file and jetting can be changed to meet variations in the material handling.
Inaccurately positioned substrates
## Between two parts of the text: crystal structures
........
[1]
Crystalline ScSi2Ni6 at its relaxed geometry. Source: Alexandria, functional GGA-PBE.

VASP energy: -103.4 eV/cell
N(E_F): 0.638 states/eV per atom
Space group: No. 227
Density: 5.70 g/cm3

a b c (Å): 7.2021 7.2021 7.2021
angles (deg): 60.00 60.00 60.00
Sites, in units of the cell vectors:
1 Sc 0.1250 0.1250 0.1250
2 Sc 0.8750 0.8750 0.8750
3 Si 0.0000 0.5000 0.5000
4 Si 0.5000 0.0000 0.5000
5 Si 0.5000 0.5000 0.0000
6 Si 0.5000 0.5000 0.5000
7 Ni 0.1226 0.1226 0.6274
8 Ni 0.1226 0.6274 0.1226
9 Ni 0.1226 0.6274 0.6274
10 Ni 0.3726 0.3726 0.8774
11 Ni 0.3726 0.8774 0.3726
12 Ni 0.3726 0.8774 0.8774
13 Ni 0.6274 0.1226 0.1226
14 Ni 0.6274 0.1226 0.6274
15 Ni 0.6274 0.6274 0.1226
16 Ni 0.8774 0.3726 0.3726
17 Ni 0.8774 0.3726 0.8774
18 Ni 0.8774 0.8774 0.3726



[2]
Crystalline TaZn2Si at its relaxed geometry. Source: Alexandria, functional GGA-PBE.

VASP energy: -19.6 eV/cell
N(E_F): 0.313 states/eV per atom
Space group: No. 65
Density: 8.96 g/cm3

a b c (Å): 4.9841 4.9841 2.8474
angles (deg): 90.00 90.00 117.10
Sites, in units of the cell vectors:
1 Ta 0.0000 0.0000 0.0000
2 Zn 0.0000 0.5000 0.5000
3 Zn 0.5000 0.0000 0.5000
4 Si 0.5000 0.5000 0.0000



[3]
Crystalline BaTeIr2 at its relaxed geometry. Source: Alexandria, functional GGA-PBE.

VASP energy: -23.3 eV/cell
N(E_F): 0.739 states/eV per atom
Space group: No. 166
Density: 10.44 g/cm3

a b c (Å): 6.3198 6.3198 6.3198
angles (deg): 42.26 42.26 42.26
Sites, in units of the cell vectors:
1 Ba 0.0000 0.0000 0.0000
2 Te 0.5000 0.5000 0.5000
3 Ir 0.1952 0.1952 0.1952
4 Ir 0.8048 0.8048 0.8048



[4]
Crystalline LaZr2In at its relaxed geometry. Source: Alexandria, functional GGA-PBE.

VASP energy: -25.2 eV/cell
N(E_F): 1.195 states/eV per atom
Space group: No. 25
Density: 6.91 g/cm3

a b c (Å): 3.3572 4.2322 7.3803
angles (deg): 90.00 90.00 90.00
Sites, in units of the cell vectors:
1 La 0.0000 0.0000 0.0000
2 Zr 0.0000 0.0000 0.5037
3 Zr 0.5000 0.5000 0.2849
4 In 0.5000 0.5000 0.7165



- The lowest N(E_F) belongs to which entry?
  TaZn2Si
........
In combination with Camera Rigs the exact placing of a substrate can be detected and misalignement or distortion can be compensated with the help of software modules
Small printing areas
Camera Rigs can help to accurately detect small printing areas like edges or narrow objects. This enables printing on challenging objects while simultaniously decreasing overspray.
Compensate distortions
Fix distortions in an existing material handling, print engine or adapt print data to 3d objects
Bad print results due to misalignment
Detection and improvement of print results that are caused by shifts between print engine and substrate handling or in axes
**Materials data that have nothing to do with the page:**
'''
Entry 1:
A plane-wave DFT calculation with PBE was carried out for crystalline Tm2Ga8Os at its relaxed geometry.

Values from the calculation:
* uncorrected energy: -49.120 eV per cell
* calculated volume: 18.49 A^3/atom

Lattice parameters (Å, degrees): 4.270 4.270 11.159 90.00 90.00 90.00
Space group P4/mmm (No. 123)
Inequivalent atoms, fractional coordinates:
Tm: 0.000 0.000 0.191 (multiplicity 2)
Ga: 0.000 0.500 0.000 (multiplicity 2)
Ga: 0.000 0.500 0.377 (multiplicity 4)
Ga: 0.500 0.500 0.193 (multiplicity 2)
Os: 0.000 0.000 0.500 (multiplicity 1)



Entry 2:
A plane-wave DFT calculation with PBE was carried out for crystalline Tm2Ga10Os3 at its relaxed geometry.

Values from the calculation:
* uncorrected energy: -158.239 eV per cell
* calculated volume: 16.71 A^3/atom

Lattice parameters (Å, degrees): 8.876 8.876 6.362 90.00 90.00 90.00
Space group P4/mbm (No. 127)
Inequivalent atoms, fractional coordinates:
Tm: 0.183 0.317 0.000 (multiplicity 4)
Ga: 0.000 0.500 0.282 (multiplicity 4)
Ga: 0.061 0.793 0.292 (multiplicity 16)
Os: 0.000 0.000 0.000 (multiplicity 2)
Os: 0.178 0.322 0.500 (multiplicity 4)



Entry 3:
A plane-wave DFT calculation with PBE was carried out for crystalline UGaOs at its relaxed geometry.

Values from the calculation:
* uncorrected energy: -101.246 eV per cell
* calculated volume: 21.27 A^3/atom

Lattice parameters (Å, degrees): 6.344 6.344 6.344 90.00 90.00 90.00
Space group F-43m (No. 216)
Inequivalent atoms, fractional coordinates:
U: 0.000 0.000 0.000 (multiplicity 4)
Ga: 0.000 0.000 0.500 (multiplicity 4)
Os: 0.250 0.250 0.750 (multiplicity 4)



What did the second record say?
A plane-wave DFT calculation with PBE was carried out for crystalline Tm2Ga10Os3 at its relaxed geometry.

Values from the calculation:
* uncorrected energy: -158.239 eV per cell
* calculated volume: 16.71 A^3/atom

Lattice parameters (Å, degrees): 8.876 8.876 6.362 90.00 90.00 90.00
Space group P4/mbm (No. 127)
Inequivalent atoms, fractional coordinates:
Tm: 0.183 0.317 0.000 (multiplicity 4)
Ga: 0.000 0.500 0.282 (multiplicity 4)
Ga: 0.061 0.793 0.292 (multiplicity 16)
Os: 0.000 0.000 0.000 (multiplicity 2)
Os: 0.178 0.322 0.500 (multiplicity 4)



Look up the uncorrected energy of the second one. -158.239 eV per cell



What is the calculated volume in the third record? 21.27 A^3/atom

~~~~~

The following is a DFT calculation (PBE+U) of an optimized crystal structure of SrNiO.

The structure in CIF format:
```
data_SrNiO
_chemical_formula_sum 'Sr2 Ni2 O2'
_space_group_name_H-M_alt 'P 1'
_space_group_IT_number 1
_cell_length_a 6.810
_cell_length_b 3.575
_cell_length_c 6.824
_cell_angle_alpha 75.23
_cell_angle_beta 116.97
_cell_angle_gamma 104.81
loop_
_space_group_symop_operation_xyz
'x,y,z'
loop_
_atom_site_label
_atom_site_fract_x
_atom_site_fract_y
_atom_site_fract_z
_atom_site_occupancy
Sr1 0.962 0.180 0.224 1
Sr2 0.462 0.180 0.724 1
O1 0.212 0.681 0.474 1
O2 0.711 0.678 0.974 1
Ni1 0.533 0.495 0.152 1
Ni2 0.390 0.864 0.297 1
```
'''
Printing on formed substrates
Scanning of surfaces and objects to adapt the print data to uneven substrates. For example for direct to shape printing on molded objects, embossed substrates, corrugated substrates etc.
Inconsistency in the material conveyance
Balance irregularities in the material handling – no matter if caused by missalignment or by a special way of conveying the substrate – by changing the image files based on the camera analysis.
Optimisation and quality assurance
Detect production rejects and improve missing nozzles, irregularities and general print quality.
Check for exclusion criteria
Detection of rejection criteria such as:
Machine readability of codes, deformations, material damage etc.
Inkjet Worst Case
Same Hardware, but printed with n-art-m technology
-- Someone pasted crystal structures at this point --
/*
Record 1
VASP calculation (GGA-PBE) on a relaxed structure of SrAc3Pd3.

Computed properties:
* ΔE_f: -665 meV/atom
* total magnetic moment: 0.000 μB/atom
* distance to the lowest polymorph of the same formula: 0 meV per atom
* SG: Cmcm (63)
* density of states at the Fermi level: 0.6690 states/eV per atom

The structure in extended XYZ format:
```
14
Lattice="6.261 -6.234 0.000 6.261 6.234 0.000 0.000 0.000 6.191" Properties=species:S:1:pos:R:3 pbc="T T T"
Sr 6.261 4.679 4.643
Sr 6.261 -4.679 1.548
Ac 3.215 1.582 4.643
Ac 6.261 1.458 1.548
Ac 3.215 -1.582 1.548
Ac 9.306 1.582 4.643
Ac 6.261 -1.458 4.643
Ac 9.306 -1.582 1.548
Pd 3.142 1.532 1.548
Pd 6.261 1.592 4.643
Pd 3.142 -1.532 4.643
Pd 9.380 1.532 1.548
Pd 6.261 -1.592 1.548
Pd 9.380 -1.532 4.643
```



Record 2
VASP calculation (GGA-PBE) on a relaxed structure of SrAc2Pd2.

Computed properties:
* ΔE_f: -617 meV/atom
* total magnetic moment: 0.000 μB/atom
* distance to the lowest polymorph of the same formula: 0 meV per atom
* SG: P4/mbm (127)
* density of states at the Fermi level: 0.5689 states/eV per atom

The structure in extended XYZ format:
```
10
Lattice="8.422 0.000 0.000 0.000 8.422 0.000 0.000 0.000 4.347" Properties=species:S:1:pos:R:3 pbc="T T T"
Sr 0.000 0.000 0.000
Sr 4.211 4.211 0.000
Ac 1.369 2.842 2.174
Ac 2.842 7.053 2.174
Ac 5.580 1.369 2.174
Ac 7.053 5.580 2.174
Pd 1.089 5.300 0.000
Pd 3.122 1.089 0.000
Pd 5.300 7.333 0.000
Pd 7.333 3.122 0.000
```



What did the second record say?
VASP calculation (GGA-PBE) on a relaxed structure of SrAc2Pd2.

Computed properties:
* ΔE_f: -617 meV/atom
* total magnetic moment: 0.000 μB/atom
* distance to the lowest polymorph of the same formula: 0 meV per atom
* SG: P4/mbm (127)
* density of states at the Fermi level: 0.5689 states/eV per atom

The structure in extended XYZ format:
```
10
Lattice="8.422 0.000 0.000 0.000 8.422 0.000 0.000 0.000 4.347" Properties=species:S:1:pos:R:3 pbc="T T T"
Sr 0.000 0.000 0.000
Sr 4.211 4.211 0.000
Ac 1.369 2.842 2.174
Ac 2.842 7.053 2.174
Ac 5.580 1.369 2.174
Ac 7.053 5.580 2.174
Pd 1.089 5.300 0.000
Pd 3.122 1.089 0.000
Pd 5.300 7.333 0.000
Pd 7.333 3.122 0.000
```



What is the density of states at the Fermi level in the second record?
0.5689 states/eV per atom



What is the formula in the second record?
SrAc2Pd2
*/
Print optimization
Detection and compensation of inconsistencies in the print image. For example, due to variation in voltage between individual print heads, nozzle failures or process difficulties
Problems in the print process can be detected by analysing individual droplets on the substrate. Based on a list of causes, the process can be optimised in a time-efficient manner.
Missing nozzles are detected with the camera unit and are improved depending on the process and application.
Satellite occurrence
Small droplets outside the grid
Delayed start of printing
Missing or too small drops at the beginning of jetting
Substrate and ink compatibility
Converging ink droplets
Detect missing nozzles
A series of missing droplets in the print image
Determine surface tension